When we give our lives to Christ, our hands, our feet, and our wallets are all part of our surrender to his lordship. Giving – in its various forms – is an act of worship.
Likewise, fulfilling the Great Commission involves an obligation to commit our time, talents, and money to God’s glory. You can do this in several ways:
Commit to SUpporting a Missionary
By intentional design, the church’s financial support of missionaries only covers a portion of their expenses. This provides the opportunity for other churches and individuals like you to become partners in the gospel both through financial investment in their ministries and through accompanying prayer support.
If you are considering supporting a missionary, start first with a commitment to pray for them. They will tell you that your prayer on their behalf is even more valuable to them than your money. Get some tips on how to pray.
Then, if possible, become a regular giver at any level rather than only a one-time financial supporter. This helps them with budgeting and brings you into the cycle of giving and receiving that Paul refers to in Philippians 4:15-19. Supporting a missionary financially not only blesses them — it also blesses you.
Learn more about our missionaries, their prayer requests, and how to become a financial supporter:

Child Sponsorships
You and your family have an opportunity to support Midland Free’s efforts among the Shan people by sponsoring a child at Faith Village Children’s Home.
Gifts provide a safe haven for children who are orphaned, abused, abandoned and in danger of being trafficked or forced into rebel armies. Children are educated, fed, clothed and mentored by staff in a Christian environment.
You can sponsor a child at various monthly levels:
- Tier 1 — $300 Provides one month of complete support per child. This includes education, food, clothes, housing, caretaker and medical care.
[Someone pasted records of crystals at this point]
'''
A relaxed PuMoC2 crystal, computed with PBE.

- Space-group type: Pnma (62)

a = 3.2763 Å, b = 5.6884 Å, c = 10.9306 Å
α = 90.00°, β = 90.00°, γ = 90.00°
Fractional positions:
C 0.2500 0.6636 0.2458
C 0.2500 0.1636 0.2542
C 0.7500 0.7618 0.0108
C 0.7500 0.8364 0.7458
C 0.7500 0.3364 0.7542
C 0.7500 0.2618 0.4892
C 0.2500 0.2382 0.9892
C 0.2500 0.7382 0.5108
Mo 0.2500 0.9149 0.1052
Mo 0.2500 0.4149 0.3948
Mo 0.7500 0.0851 0.8948
Mo 0.7500 0.5851 0.6052
Pu 0.2500 0.0833 0.6407
Pu 0.7500 0.4167 0.1407
Pu 0.2500 0.5833 0.8593
Pu 0.7500 0.9167 0.3593

---

A relaxed Re2Mo3C crystal, computed with PBE.

- Space-group type: P4_132 (213)
- Total magnetic moment: 0.0 μB per formula unit

a = 6.9484 Å, b = 6.9484 Å, c = 6.9484 Å
α = 90.00°, β = 90.00°, γ = 90.00°
Fractional positions:
Re 0.1834 0.8166 0.3166
Re 0.0666 0.0666 0.0666
Re 0.5666 0.4334 0.9334
Re 0.3166 0.1834 0.8166
Re 0.4334 0.9334 0.5666
Re 0.8166 0.3166 0.1834
Re 0.6834 0.6834 0.6834
Re 0.9334 0.5666 0.4334
Mo 0.5450 0.6250 0.2950
Mo 0.4550 0.1250 0.2050
Mo 0.2950 0.5450 0.6250
Mo 0.8750 0.7050 0.0450
Mo 0.3750 0.7950 0.9550
Mo 0.0450 0.8750 0.7050
Mo 0.9550 0.3750 0.7950
Mo 0.7050 0.0450 0.8750
Mo 0.1250 0.2050 0.4550
Mo 0.7950 0.9550 0.3750
Mo 0.6250 0.2950 0.5450
Mo 0.2050 0.4550 0.1250
C 0.6250 0.8750 0.1250
C 0.1250 0.6250 0.8750
C 0.8750 0.1250 0.6250
C 0.3750 0.3750 0.3750

---

A relaxed ReMo2C crystal, computed with PBE.

- Space-group type: R3m (160)
- Total magnetic moment: 0.0 μB per formula unit

a = 7.1784 Å, b = 7.1784 Å, c = 7.1784 Å
α = 23.97°, β = 23.97°, γ = 23.97°
Fractional positions:
Mo 0.2755 0.2755 0.2755
Mo 0.4985 0.4985 0.4985
C 0.0008 0.0008 0.0008
Re 0.7252 0.7252 0.7252

---

A relaxed ReMoC2 crystal, computed with PBE.

- Space-group type: R-3m (166)
- Total magnetic moment: 0.0 μB per formula unit

a = 5.2974 Å, b = 5.2974 Å, c = 5.2974 Å
α = 34.06°, β = 34.06°, γ = 34.06°
Fractional positions:
Re 0.0000 0.0000 0.0000
C 0.2514 0.2514 0.2514
C 0.7486 0.7486 0.7486
Mo 0.5000 0.5000 0.5000

---

A relaxed Sm2Mo2C3 crystal, computed with PBE.

- Space-group type: C2/m (12)

a = 5.9489 Å, b = 5.9489 Å, c = 5.8324 Å
α = 74.30°, β = 74.30°, γ = 33.86°
Fractional positions:
C 0.7246 0.7246 0.7339
C 0.2754 0.2754 0.2661
C 0.0000 0.0000 0.5000
Mo 0.8476 0.8476 0.3822
Mo 0.1524 0.1524 0.6178
Sm 0.3889 0.3889 0.8237
Sm 0.6111 0.6111 0.1763

---

A relaxed TaMoC2 crystal, computed with PBE.

- Space-group type: R-3m (166)
- Total magnetic moment: 0.0 μB per formula unit

a = 5.3882 Å, b = 5.3882 Å, c = 5.3882 Å
α = 33.93°, β = 33.93°, γ = 33.93°
Fractional positions:
C 0.7496 0.7496 0.7496
C 0.2504 0.2504 0.2504
Mo 0.5000 0.5000 0.5000
Ta 0.0000 0.0000 0.0000

---
'''
- Tier 2 — $150 Provides needed items like uniform, books, meals, clothes and hygiene items
- Tier 3 — $50 Provides meals and basic hygiene items.
You can learn more about the children on the Faith Village website.

Support through Serving
Midland Free sponsors individual Timothy Teams for our missionaries. These are groups that pray together, encourage the missionary, and provide practical and logistical support. The concept behind these teams is based on the book Serving as Senders Today by Neal Pirolo.
If you are interested in joining a Timothy Team, contact the GoGlobal Leadership Team. They will connect you with the team leader for the missionary that you are interested in, or discuss which teams have current needs.
Support through Leading
Several teams provide leadership to Midland Free’s efforts to engage the world for the sake of the gospel. If you are interested in learning about member qualifications, team requirements and current opportunities, contact the GoGlobal Leadership Team.
- Sending Our Own Focus Team
- Southeast Asia Focus Team
- Shan Focus Team
- GoGlobal Leadership Team
“I appeal to you therefore, brothers, by the mercies of God, to present your bodies as a living sacrifice, holy and acceptable to God, which is your spiritual worship.” ~ Romans 12:1